DRAFT Not for Distribution s1


American Society of Safety Engineers

Position Paper


Control Banding and the Future of the HazCom Standard


ASSE Government Affairs Committee

Problem Statement:

ASSE members and other safety, health and environmental (SH+E) professionals acknowledge that, since the Occupational Safety and Health Administration's (OSHA) Hazard Communication Standard (HazCom) (29 CFR 1910.1200)) and the Mine Safety and Health Administration’s (MSHA) HazCom Standard (30 CFR Part 47) were implemented, workplace hazardous material exposures have declined. However, they report growing concern that these HazCom Standards are falling increasingly behind in recognizing the state of the art in reducing chemical incidents and employee exposure illness. “More than 32 million workers are exposed to 650,000 hazardous chemical products in more than 3 million American workplaces. Moreover, each year emergency responders are seriously injured or killed because of deficient information about chemicals on site when they are addressing situations such as fires, explosions or transportation disasters.” 1 One method, "Control Banding," provides for improved worker safety when handling or using chemicals by focusing on control strategies. It is increasingly being used by safety, health and environmental (SH+E) professionals as the preferred method to provide employees with the necessary tools to avoid incidents of exposure. This Position Paper addresses the question of whether federal occupational safety and health policy should incorporate Control Banding into hazard communication guidelines.

Here is a geometry-optimized Hf2MnBiF structure from the Alexandria database. Energies are from PBE with a Hubbard U.

For the theoretical density, the calculation gives 9.906 g/cm3. The crystal system is tetragonal. The density of states at the Fermi level is 0.81 states/eV per atom. The total DFT energy (no corrections) is -32.34 eV/f.u.

The space group is P4/mmm (No. 123) and the conventional cell measures 5.2691, 5.2691 and 3.8637 Å, with angles of 90.00, 90.00 and 90.00 degrees. The asymmetric unit holds Hf at (0.0000, 0.5000, 0.0000), Mn at (0.0000, 0.0000, 0.0000), Bi at (0.5000, 0.5000, 0.5000) and F at (0.0000, 0.0000, 0.5000).

~~~~~

First-principles (PBE) data for ScAgBr4 after structural relaxation, as listed in the Alexandria database.

The space group is P2/m (No. 10) and the conventional cell measures 6.8817, 3.9439 and 7.3561 Å, with angles of 90.00, 96.83 and 90.00 degrees. The inequivalent atoms are Sc at (0.0000, 0.0000, 0.0000), Ag at (0.0000, 0.5000, 0.5000), Br at (0.2043, 0.0000, 0.7168) and Br at (0.2352, 0.5000, 0.1525).

Its distance to the lowest polymorph of the same formula is 0.00 eV per formula unit. Its uncorrected formation energy is -709 kJ/mol of formula units.

~~~~~

Entry 1:
Tb3RuCl3 | PBE-GGA | relaxed

The total energy comes out at -5.563 eV per atom. The raw formation energy is -10.24 eV/f.u. The total magnetization comes out at 0.00 μB/f.u.

It has space group P2_1/m (No. 11), with a = 8.337 Å, b = 4.039 Å, c = 11.707 Å, α = 90.00°, β = 90.82° and γ = 90.00°. The inequivalent atoms are Tb at (0.100, 0.250, 0.169), Tb at (0.152, 0.250, 0.643), Tb at (0.277, 0.750, 0.400), Ru at (0.053, 0.250, 0.403), Cl at (0.119, 0.250, 0.905), Cl at (0.324, 0.750, 0.153) and Cl at (0.439, 0.750, 0.625).

=====

Entry 2:
PrDy6Sc6 | PBE-GGA | relaxed

The total energy comes out at -5.190 eV per atom. The energy of formation is 224 meV per atom. The total magnetization comes out at 1.07 μB/f.u.

It has space group P6/mmm (No. 191), with a = 6.4201 Å, b = 6.4201 Å, c = 10.9318 Å, α = 90.00°, β = 90.00° and γ = 120.00°. The inequivalent atoms are Pr at (0.0000, 0.0000, 0.0000), Dy at (0.0000, 0.0000, 0.3421), Dy at (0.3333, 0.6667, 0.0000), Dy at (0.3333, 0.6667, 0.5000) and Sc at (0.0000, 0.5000, 0.2435).

=====

Entry 3:
EuGdZn2 | PBE-GGA | relaxed

The total energy comes out at -7.011 eV per atom. The energy of formation is -285 meV per atom. The total magnetization comes out at 14.32 μB/f.u.

It has space group P4/mmm (No. 123), with a = 5.189 Å, b = 5.189 Å, c = 3.668 Å, α = 90.00°, β = 90.00° and γ = 90.00°. The inequivalent atoms are Eu at (0.000, 0.000, 0.000), Gd at (0.500, 0.500, 0.000) and Zn at (0.000, 0.500, 0.500).

=====

Entry 4:
SbTe4 | PBE-GGA | relaxed

The total energy comes out at -2.698 eV per atom. The polymorph energy (0 for the lowest one) comes out at 0.469 eV/atom. The raw formation energy is 3.20 eV/f.u. The total magnetization comes out at 0.00 μB/f.u.


Chemical exposure resulting in injury or illness is possible when recognized safety engineering controls are not implemented or fail. Exposure may result from direct contact or facility contamination from inadvertent release of chemical products, process failure, or lack of employee/employer knowledge on potential hazards of chemicals. Failure to implement appropriate engineering controls may result in increased work area concentrations of toxic chemicals as well as flammable and combustible materials that could increase the probability of illness, fires and/or explosions. SH+E professionals are concerned that a significant contributing factor to exposures is the possible failure of the employer to appropriately implement or understand requirements of the Hazard Communication (HazCom) Standard.1, 2

The data in Table 1 excerpted from the OSHA website and from MSHA data quantifying violations of the HazCom Standard citations indicates that lack of hazard communication compliance is a broad-based problem crossing industry boundaries. Beyond paperwork citations, the data indirectly implicates that implementation of appropriate engineering controls in the design state would minimize the potential for employee exposure to chemicals.

Industry / Number of Citations / Number of Inspections / Penalty ($)
Agriculture / 82 / 45 / 23660
Oil/Gas (OSHA) / 45 / 22 / 6410
Construction / 1459 / 757 / 166433
Manufacturing / 3381 / 1786 / 994043
Transportation, Communications / 438 / 226 / 102305
Wholesale Trade / 361 / 174 / 66406
Retail Trade / 370 / 178 / 72611
Finance, Insurance / 64 / 29 / 17170
Services / 1101 / 531 / 352213
Public Admin / 50 / 30 / 0
Mining (MSHA) / 1437 / N/A / 109733
Totals / 8788 / 3778 / 1910984
Table 1. – HazCom Citations By Industry Segment Sept. 03/Oct. 04

Various factors contribute to the high number of HazCom citations: 3

·  Lack of a common chemical assessment strategy to provide hazard and risk information integrated with process controls;

·  Lack of a common standardized format among sixteen sections of the Globally Harmonized System (GHS) for the Classification and Labeling of Chemicals Material Safety Data Sheets (MSDS), or, as they are now being termed, Safety Data Sheets (SDSs);

·  Lack of a common and understandable terminology in hazard statements for communicating risk such as the European Union's requirement of "R-Phrases," or "Risk Phrases," – consisting of the letter R followed by a number – that are on every label and safety data sheet for hazardous chemicals;

·  Lack of broadly accepted symbols, or pictograms, to communicate risk or required protective gear;

·  Lack of standardized “signal” words for communicating hazard and risk;

·  A requirement to have knowledgeable people available for assessment of hazards, especially in small- and medium-sized companies;

·  Acceptance of MSDSs without checking or understanding the evaluation of hazard information prior to use the chemicals;

·  Employers' failure to embrace the requirements of HazCom; and

·  Lack of common "S-Phrases," or "Safety Phrases," for hazardous substances. The European Union requires that S-phrases appear on each label and safety data sheet for hazardous chemicals. They consist of the letter S followed by a number.

The lack of a coherent approach to HazCom leads to other problems. For example, refresher training methodologies may be inconsistent and testing, when employed, is seldom validated. Significantly, the HazCom Standard does not address the unique potential hazards associated with processes in which multiple materials are used. This wide variety of difficulties points to the need for a coherent approach to defining and classifying hazards, communicating a common approach to labeling and authoring MSDSs, and adoption of appropriate engineering controls.

Between two parts of the entry: materials data.
The following is a DFT calculation (PBE-GGA) of a geometry-optimized Np3NiHg3S8 structure.

Output
The total energy is -5.92 eV/atom. The value obtained for the calculated volume is 484.11 Å³ per cell. The symmetry is R-3m (166).

a b c (Å): 10.592 10.592 10.592
angles (deg): 42.14 42.14 42.14
Sites, in units of the cell vectors:
Np 0.000 0.500 0.500
Np 0.500 0.000 0.500
Np 0.500 0.500 0.000
Ni 0.000 0.000 0.000
Hg 0.000 0.000 0.500
Hg 0.000 0.500 0.000
Hg 0.500 0.000 0.000
S 0.203 0.203 0.734
S 0.203 0.734 0.203
S 0.266 0.797 0.797
S 0.283 0.283 0.283
S 0.717 0.717 0.717
S 0.734 0.203 0.203
S 0.797 0.266 0.797
S 0.797 0.797 0.266
End of the materials data.

Hazard Communication vs. Control Banding:

The HazCom Standard and Control Banding methods of protecting workers depend on many of the same data inputs. Both systems, in different ways, rely on MSDSs, exposure limits, hazard assessment and toxicological review. Most importantly, both require professional assessment and analysis. Specifically, both approaches require knowledge of:

·  Physical characteristics of the material (e.g. boiling point);

·  Chemical properties (e.g. reactivity);

·  Health hazards (R-Phrases);

·  Appropriate controls and protective actions (ventilation, containment and personal protection equipment [PPE]); and

·  Special control or toxicological reviews for specific materials such as reactives.

The HazCom Standard also requires:

·  A workplace inventory of hazardous material;

·  A written program covering the use, handling and storage of materials;

·  Identification information in the form of labels or process sheets for containers;

·  Employee information concerning hazards and exposures in the form of MSDSs and employee access to that information;

·  Training of employees in the interpretation and use of MSDSs, safe use of materials, assessment, and selection and use of PPE; and

·  Adherence to employer-prescribed precautions of use and process instructions.

The primary difference between the HazCom Standard and Control Banding is the methodology utilized to assure a safe workplace and reduce exposures to a minimum safe level. The OSHA and MSHA HazCom Standards focus on one material at a time working within the permissible exposure level (PEL) and communicating hazards using labels, MSDS’s, and formal documented training programs. Furthermore, an assumption is made that the employer and employee understand the chemical information that the work environment and process hazards are controlled; and that the assessment and need for personal protective equipment (PPE), information and training have been documented and understood.

Rather than looking at chemicals as single entities, the Control Banding approach groups materials together into broad "bands" based on their physical and chemical characteristics, quantities used, the environment in which the material is used (e.g., temperature of use), and risk information. Following the assessment, controls are developed based on these bands. The key focus in Control Banding is on the process, task, material characteristic, control (ventilation), and quantity used. Control Banding uses a generic risk assessment based on the Globally Harmonized System for the Classification and Labeling of Chemicals 3, which is still being developed. Defined exposure conditions have been developed to lead the user to an appropriate selection of a control method. When the material is evaluated, the outcome is one of four recommended control strategies:

1.  Employ good industrial hygiene practice;

2.  Use local exhaust ventilation;

3.  Enclose the process; or

4.  Seek the advice of a specialist

The International Labor Organization (ILO) of the United Nations has been providing a “Tool Kit” that describes the method to select Control Bands for each process. The five Control Banding stages established by Pavan Baichoo 4 of the ILO involve determining the:

1.  Hazard classification

2.  Scale of use

3.  Ability to become airborne

4.  Control approach; and

5.  Selecting the task-specific control guidance sheets

The Tool Kit requires that R-phrases, the state of material (gas, vapor, liquid or solid), allowable exposure limits, ability to become airborne, quantities used, and operating temperatures be documented.

Another Control Banding approach in actual use in the United Kingdom and being tested elsewhere is called "Control of Substances Hazardous to Health," or "COSHH-Essentials," which was developed by the United Kingdom's Health and Safety Executive and Health and Safety Commission (HSE).5 This is an on-line method that requires basic material information, quantities, and physical characteristics of the materials. This data is entered into a form on their web site for each step in the process, along with the number of exposures during the shift (or expected frequency of exposure), the quantity per batch, and the standard R-phrase. Once that information is entered, a set of Control Sheets is presented for printing that summarizes the analysis, exposure and controls.

Developing a Position:

In developing a position on this issue, ASSE is faced with several alternatives:

·  Urge and maintain adherence to the current HazCom Standard;

·  Urge adoption of Control Banding to replace the HazCom Standard; or

·  Urge amendments of the HazCom Standard by integrating the GHS system of using control banding to focus on minimizing exposure.

This question was addressed in March 2004 in a hearing called by Senator Michael Enzi’s, Chairman of the U.S. Senate Subcommittee on Employment, Safety, and Training hearings on “Hazard Communication in the 21st Century Workplace.”6 In testimony to the Subcommittee, Dr. Jon Hanson, Director of Safety for the Wyoming Medical Center, cited specific examples of chemical spills that were mishandled because the MSDS available was inefficient. From these situations, Dr. Hanson presented several conclusions relative to needed MSDS changes:

·  Chemicals need to be arranged in quick categories according to their potential hazards, which is a control banding principal;

·  Employees need to be trained according to these categories, which Dr. Hanson felt would be more efficient than current hazard training;

·  Language and formatting of the MSDS needs to be simplified, including being written to a sixth-grade comprehension level; and

·  MSDSs should incorporate symbols for easier comprehension.

These are all measures included in the goals of GHS. Focusing on only the most pertinent information in the simplest language would reduce the length of an MSDS to only one page per chemical. Dr. Hanson stated that nothing short of a complete reformatting of the MSDS template will be sufficient. Simplification is the key, an idea that is the goal of both Control Banding and GHS. Dr. Hanson's position was that these concepts should also be used in the federal regulations in order to assist with compliance.

/*
Entry 1:
DFT (PBE) results for a relaxed structure of V3TcGe.

Raw total energy = -8.42 eV/atom
ΔH_f (0 K) = 21 kJ/mol of formula units
E above lowest polymorph = 0.00 kcal/mol of atoms

Structure (CIF):
```
data_V3TcGe
_chemical_formula_sum 'V6 Tc2 Ge2'
_cell_length_a 4.360
_cell_length_b 5.470
_cell_length_c 6.128
_cell_angle_alpha 90.00
_cell_angle_beta 94.26
_cell_angle_gamma 90.00
_space_group_name_H-M_alt 'P 1 21/m 1'
_space_group_IT_number 11
loop_
_space_group_symop_operation_xyz
'x,y,z'
'-x,-y,-z'
'-x,y+1/2,-z'
'x,-y+1/2,z'
loop_
_atom_site_label
_atom_site_fract_x
_atom_site_fract_y
_atom_site_fract_z
V1 0.161 0.027 0.258
V2 0.335 0.750 0.543
Tc1 0.273 0.250 0.721
Ge1 0.339 0.750 0.939
```

***

Entry 2:
DFT (PBE) results for a relaxed structure of V12TcGe7.

Raw total energy = -7.56 eV/atom
ΔH_f (0 K) = 87 kJ/mol of formula units

Structure (CIF):
```
data_V12TcGe7
_chemical_formula_sum 'V36 Tc3 Ge21'
_cell_length_a 9.7236
_cell_length_b 9.7236
_cell_length_c 11.0179
_cell_angle_alpha 90.00
_cell_angle_beta 90.00
_cell_angle_gamma 120.00
_space_group_name_H-M_alt 'R -3'
_space_group_IT_number 148
_space_group_name_Hall '-R 3'
loop_
_atom_site_label
_atom_site_fract_x
_atom_site_fract_y
_atom_site_fract_z
V1 0.0197 0.4481 0.2011
V2 0.0637 0.8091 0.9103
Tc1 0.0000 0.0000 0.5000
Ge1 0.0000 0.0000 0.0000
Ge2 0.0150 0.1999 0.3145
```

***

Entry 3:
DFT (PBE) results for a relaxed structure of V4TcGe2.

Raw total energy = -8.20 eV/atom
ΔH_f (0 K) = -128 kJ/mol of formula units
E above lowest polymorph = 0.00 kcal/mol of atoms

Structure (CIF):
```
data_V4TcGe2
_chemical_formula_sum 'V8 Tc2 Ge4'
_cell_length_a 6.544
_cell_length_b 6.556
_cell_length_c 6.559
_cell_angle_alpha 118.59
_cell_angle_beta 118.61
_cell_angle_gamma 92.35
_space_group_name_H-M_alt 'P 1'
_space_group_IT_number 1
loop_
_space_group_symop_operation_xyz
'x,y,z'
loop_
_atom_site_label
_atom_site_fract_x
_atom_site_fract_y
_atom_site_fract_z
V1 0.000 0.000 0.000
V2 0.049 0.486 0.177
V3 0.274 0.854 0.791
V4 0.537 0.744 0.598
V5 0.596 0.217 0.805
V6 0.656 0.692 0.020
V7 0.808 0.617 0.403
V8 0.895 0.085 0.635
Tc1 0.133 0.946 0.414
Tc2 0.741 0.154 0.212
Ge1 0.244 0.392 0.548
Ge2 0.360 0.325 0.067
Ge3 0.427 0.899 0.254
Ge4 0.844 0.504 0.734
```

***

Entry 4:
DFT (PBE) results for a relaxed structure of TcGeW3.

Raw total energy = -8.94 eV/atom
ΔH_f (0 K) = 881 kJ/mol of formula units
E above lowest polymorph = 0.00 kcal/mol of atoms

Structure (CIF):
```
data_TcGeW3
_chemical_formula_sum 'Tc1 Ge1 W3'
_cell_length_a 4.532
_cell_length_b 4.532
_cell_length_c 4.532
_cell_angle_alpha 90.00
_cell_angle_beta 90.00
_cell_angle_gamma 90.00
_space_group_name_H-M_alt 'P m -3 m'
_space_group_IT_number 221
_space_group_name_Hall '-P 4 2 3'
loop_
_atom_site_label
_atom_site_fract_x
_atom_site_fract_y
_atom_site_fract_z
Tc1 0.000 0.000 0.000
Ge1 0.500 0.500 0.500
W1 0.000 0.500 0.500
```

***

Entry 5:
DFT (PBE) results for a relaxed structure of TcGeW.

Raw total energy = -9.20 eV/atom
*/

ASSE agrees. From ASSE’s review of the ILO Tool Kit and the HSE/COSHH-Essentials process, as well as the various discussions about the issue, the Society believes OSHA and MSHA must begin a process of updating the HazCom Standard to incorporate elements of both Control Banding and the expected changes that will be brought about by GHS. Work specifically should begin on a standardized MSDS and chemical hazard analysis process that can be made part of the HazCom Standard. ASSE supports the GHS and urges OSHA and MSHA to incorporate work on developing labels that include

·  Symbols/pictograms;

·  Signal words;

·  Hazard statements;

·  Product identifier/ingredient disclosure; and

·  Precautionary information.

It is suggested that, as OSHA and MSHA proceed, work should be initiated to revise the HazCom Standard to incorporate the model of Control Banding. One key element currently excluded in the Control Banding models is the issue of physical hazards such as flammability. The agencies should investigate and propose a model to incorporate this information.

In summary, both HazCom and Control Banding need common information, standardization of phrases, signal words, and process monitoring methods to be effective. Without a common base, neither program, whether alone or integrated, can succeed in the United States. These improvements will help OSHA and MSHA continue providing standards that help employers reduce worker injuries and illness resulting from exposure to hazardous materials.

ASSE's Position:

Establish an ASSE Task Force of interested ASSE members under the direction of the Industrial Hygiene Practice Specialty to develop a revised HazCom Standard that incorporates appropriate elements of both Control Banding and GHS and take necessary action through Governmental Affairs to promote adoption by OSHA and MSHA.

The Future:

The key for the future success of both the HazCom Standard and Control Banding will be the completion of GHS work on the standard sixteen-part MSDS, common R-Phrases, common S-Phrases, common signal words, and a common methodology of assessment and classification of chemical hazards. Without GHS, neither the HazCom nor the Control Banding programs can succeed because employers will be faced with the continuing issue of non-standardization. This will be especially true in situations where a product is used globally and the information is in a non-familiar format, or where there are country-specific systems.


1. Kendrick, S. President, ASSE, “ASSE Comments on Draft OSHA Guidance Documents Concerning Hazard Communication Standard,” OSHA Docket Office Docket No. H022J, May 17, 2004.

2. OSHA Website, Frequently Cited OSHA Standards by SIC Code, Sep 2003/Oct 2004. http://www.osha.gov

3.  Silk, J. OSHA, “System (GHS) of Classification and Labelling of Chemicals – Development of a Worldwide System for Hazard Communication,” 2nd International Conference on Control Banding, Cincinnati, March 2, 2004.

4.  Baichoo, P. Safework, “ILO Chemical Control Tool Kit”, Geneva, Switzerland, http://www.ilo.org/safework , November 03, 2004.

5.  HSE – Web Site – e-COSHH or COSHH Essentials. The COSHH (Control of Substances Hazardous to Health) available at http://www.coshh-essentials.org.uk/.

6.  Hanson, J. MD Testimony to U.S. Senate Subcommittee on Employment, Safety, and Training, Hearing on “Hazard Communication in the 21st Century Workplace.” March 25, 2004.

GAC Approved 5.4.05

CoPA Approved 5.25.05

ASSE Board Approved 6.09.05

ASSE Position Paper on Control Banding

and the Future of the HazCom Standard